Bernardo Fjord and one of the main locations for Scott’s research. Pictured are Bernardo Glacier (lower left), the refugio or cabin (lower center) and Lautaro Volcano, the highest point in Bernard O’Higgins National Park (top center).
Scott Braddock was awarded the AAC’s Research Grant in 2019 to study glacial recession in Patagonia. Specifically, Scott and his team were studying the Southern Patagonian Icefield. With the Southern Patagonian Icefield contributing a disproportionate amount of ice loss relative to the size of the icefield when compared with other mountain glaciers around the world, better understanding the mechanisms for tidewater glacier retreat in this region are critical for projections of future ice loss. Below is a quick summary of his project, and a report on the initial findings.
Why This Research? Why now?
Like most glaciers around the world, the Southern Patagonian Icefield (SPI) is retreating in the face of rising atmospheric and ocean temperatures. The SPI is particularly susceptible to a changing climate because of its relative proximity to the equator and the fact that it is made up of low-elevation alpine and tidewater glaciers that are highly sensitive to changes in temperature and precipitation. Past studies have shown that ice mass loss from the Southern Patagonian Icefield contributes a large amount of water to global sea level rise, especially relative to the size of the icefield, with rates increasing in recent decades. However, how quickly the SPI is continuing to respond to warmer conditions and the primary mechanisms behind ice mass loss remain important questions to be answered. Scott’s team is attempting to investigate these very questions.
Next to the text, the page also holds materials data:
Computed powder diffraction line list of HfTaCu2Si4 for Cu Kα (λ = 1.5418 Å), from DFT lattice parameters and positions (PBE).
Kinematic intensities with the Lorentz-polarization factor, no thermal factor.

The 6 most intense peaks (2θ = 5–70°), in order of rising 2θ:
| 2theta | d [Å] | I/Imax | hkl |
| --- | --- | --- | --- |
| 26.56 | 3.356 | 69.8 | 1 0 1 |
| 39.26 | 2.295 | 28.0 | 1 0 3 |
| 40.62 | 2.221 | 100.0 | 1 1 2 |
| 50.36 | 1.812 | 25.1 | 2 0 0 |
| 57.80 | 1.595 | 26.2 | 1 0 5 |
| 66.57 | 1.405 | 14.1 | 2 0 4 |

Structural model:
Cell lengths 3.6240, 3.6240, 8.8940 Å; angles 90.00, 90.00, 90.00 degrees
Space group P4mm (No. 99)
One atom of each set of equivalent atoms:
Hf (0.0000, 0.0000, 0.0000)
Ta (0.5000, 0.5000, 0.5410)
Cu (0.0000, 0.5000, 0.2715)
Si (0.0000, 0.0000, 0.4510)
Si (0.0000, 0.5000, 0.7650)
Si (0.5000, 0.5000, 0.0918)


Computed powder diffraction line list of KPrLu for Cu Kα (λ = 1.5418 Å), from DFT lattice parameters and positions (PBE).
Kinematic intensities with the Lorentz-polarization factor, no thermal factor.

The 6 most intense peaks (2θ = 5–70°), in order of rising 2θ:
| 2theta | d [Å] | I/Imax | hkl |
| --- | --- | --- | --- |
| 22.08 | 4.025 | 70.7 | 2 0 0 |
| 31.43 | 2.846 | 100.0 | 2 2 0 |
| 38.75 | 2.324 | 22.6 | 2 2 2 |
| 45.04 | 2.013 | 18.4 | 4 0 0 |
| 50.71 | 1.800 | 31.9 | 4 2 0 |
| 55.95 | 1.643 | 38.4 | 4 2 2 |

Structural model:
Cell lengths 8.0508, 8.0508, 8.0508 Å; angles 90.00, 90.00, 90.00 degrees
Space group F-43m (No. 216)
One atom of each set of equivalent atoms:
K (0.0000, 0.0000, 0.0000)
Pr (0.2500, 0.2500, 0.2500)
Lu (0.2500, 0.2500, 0.7500)


[1]
# Li3As
Simulated powder X-ray diffraction pattern, λ = 1.5418 Å (Cu Kα). Input: a GGA-PBE-relaxed structure.
Neutral-atom scattering factors, no anomalous dispersion.

abc: 4.375 4.375 7.813
angles: 90.00 90.00 120.00
Fractional positions:
Li: 0.000 0.000 0.250
Li: 0.000 0.000 0.750
Li: 0.333 0.667 0.085
Li: 0.333 0.667 0.415
Li: 0.667 0.333 0.585
Li: 0.667 0.333 0.915
As: 0.333 0.667 0.750
As: 0.667 0.333 0.250

Top 10 peaks for 10° ≤ 2θ ≤ 90°, by intensity:
| 2θ (°) | I_rel |
| --- | --- |
| 26.14 | 100 |
| 42.10 | 41 |
| 22.76 | 36 |
| 41.27 | 32 |
| 47.64 | 29 |
| 23.48 | 25 |
| 49.51 | 17 |
| 66.36 | 14 |
| 75.81 | 14 |
| 60.42 | 14 |


[2]
# Li7MnAs4
Simulated powder X-ray diffraction pattern, λ = 1.5418 Å (Cu Kα). Input: a GGA-PBE-relaxed structure.
Neutral-atom scattering factors, no anomalous dispersion.

abc: 6.034 8.447 8.470
angles: 89.97 89.70 89.88
Fractional positions:
Li: 0.000 0.000 0.000
Li: 0.000 0.003 0.474
Li: 0.000 0.240 0.236
Li: 0.001 0.477 0.477
Li: 0.001 0.480 0.997
Li: 0.062 0.236 0.737
Li: 0.428 0.756 0.234
Li: 0.499 0.506 0.493
Li: 0.499 0.741 0.735
Li: 0.500 0.503 0.975
Li: 0.500 0.980 0.498
Li: 0.500 0.983 0.970
Li: 0.564 0.244 0.728
Li: 0.931 0.739 0.244
Mn: 0.000 0.742 0.734
Mn: 0.498 0.241 0.238
As: 0.212 0.741 0.502
As: 0.213 0.741 0.970
As: 0.287 0.242 0.003
As: 0.288 0.242 0.467
As: 0.713 0.008 0.235
The research boat, the Aguilaf (bottom left), in Bernardo Fjord. In the background is Bernardo Glacier.
The glaciers of the SPI are located in Chile’s largest protected area, Bernard O’Higgins National Park (BONP), which hosts the largest known population of the endangered huemul deer–a species whose health is connected with recently-deglaciated habitat. Under the supervision of Coporacion Nacional Forestral (CONAF), limited in situ research exists in the BONP due to the frequent inclement weather, poor access, and only a handful of CONAF park guards and scientists to protect and manage a large area. Given the results of studies highlighting the accelerated retreat of the SPI in the past several decades, further work is necessary to better constrain estimates of ice loss and glacier stability as well as impacts on biodiversity in BONP.
The Grant Funded Trip & Moving Beyond Covid
AAC Research Grant recipient, Scott Braddock, in front of Calluqueo Glacier, San Lorenzo Mountain, Chile.
In October 2019, supported by research grants from the American Alpine Club, Churchill Foundation, and the Geological Society of America, Scott’s team traveled to Chilean Patagonia to sample ocean water in contact with several glaciers to understand how this interaction may influence rapid retreat of ice in the region. The team sampled water temperature and salinity at the surface and to depths up to 10 m and collected data on surface reflectance, suspended sediment and plankton in front of two tidewater glaciers, Bernardo and Témpano, in Bernard O’Higgins National Park, Chile. Results show a clear boundary between fresh glacial runoff and warm ocean water around 6 m depth close to the terminus of Témpano Glacier.
Kristin Schild (left) and Scott Braddock (right) conducting CTD sampling in Témpano fjord. Photo by Fernando Iglesias.
In coordination with sampling efforts, Scott’s team set up time-lapse cameras overlooking both glaciers to track iceberg movement and try to observe sediment plumes and surface currents. Additionally, they witnessed one of the earliest-known glacial lake outburst floods (GLOF) in a summer season at Bernardo Glacier.
In witnessing this event, it is clear that to fully understand this dynamic ice-ocean system, we need longer duration measurements to capture both episodic events (GLOFs) and persistent forcing (ocean warming). To aid in long-term monitoring of ice/ocean interactions and GLOF events in this region, Scott’s team facilitated an agreement between three organizations participating in this project—Coporacion Nacional Forestral (CONAF), Round River Conservation Studies (RRCS), and UMaine Ice/Ocean group to continue this research in the coming years by sharing logistical support, scientific equipment, and data.
In the context of Covid, the collaborative nature of this project has been crucial to its continuity. The project included team members from three organizations and many backgrounds coming together to work in such a remote, challenging environment. The glaciology portion of this research project was designed and led by Dr. Kristin Schild, University of Maine School of Earth and Climate Sciences. The marine biology part of the project was designed and led by Raúl Pereda, a Marine Biologist with CONAF. Logistics, help with the science, and local knowledge and expertise were provided by Felidor Paredes, CONAF Park Guard and Fernando Iglesias Letelier, Chilean Program Director for RRCS.
Team members Raúl Pereda (left) and Kristin Schild (right) install a time lapse camera in Témpano Fjord to monitor sediment plumes and ice berg movement. Photo by Scott Braddock.
Like most international research, COVID has disrupted the US team’s return to Patagonia for the last two years. However, to keep the project moving forward, Scott’s team will ship equipment to Chile so that team members from CONAF can continue taking measurements of ocean water in front of these tide water glaciers to monitor how ocean properties are influencing glacial retreat of the Southern Patagonian Icefield as well as impacts retreating glaciers might have on the marine biology.
A Snapshot of the Science Behind Glacial Recession:
The speed at which glaciers of the Southern Patagonian Icefield (SPI) flow could be driven in two distinct ways: from the top-down, or the bottom-up (Figure 2a-e). How fast the glacier moves or flows influences how quickly it retreats and thins over longer time scales.
In the top-down scenario, warm air temperatures melt the glacier ice and, when combined with precipitation, the glaciers are inundated with liquid water (Figure 2a). This water flows under the glacier, lubricating the interface between the glacier and the bedrock, and accelerates the speed at which the glacier moves due to a decrease in friction (Figure 2b).
In the bottom-up scenario, the warm ocean water melts all contacting terminus ice, undercutting the glacier at the waterline and facilitates iceberg calving, or breaking off more icebergs (Figure 2c,d). This removal of terminus ice decreases the amount of ice that the glacier has to move, thereby also leading to increased glacier velocities due to a decrease in back pressure (Figure 2e).
Figure 2: Schematic illustrating the two end-member scenarios of glacier acceleration, top-down (a,b) and bottom-up (c-e). In top-down acceleration, water from melting ice and precipitation pools in crevasses and topographic lows on the glacier surface (a) until weaknesses in the ice are exploited and water flows between the glacier and glacier bed (b) reducing friction and leading to glacier acceleration. Bottom-up acceleration is initiated at the glacier terminus with warm ocean water melting away the glacier at the waterline, leading to an undercut terminus (c), which initiates subsequent mass loss through calving (d). This decrease in mass reduces the back pressure (e) leading to glacier acceleration.
While two distinct scenarios are presented above, a combination of mechanisms most often controls glacier acceleration. For example, recent studies in Greenland have shown that ocean warming has been the controlling mechanism in glacier instability while in Svalbard both ocean and air temperatures appear to balance each other in driving glacier change.
However, how quickly the Southern Patagonian Icefield is responding to warmer conditions and the primary mechanisms behind ice mass loss remain important questions to be addressed, that Scott’s project will hopefully illuminate over time.
“The research grant awarded by the American Alpine Club and other organizations made it possible for our team to collect preliminary data, create working relationships with CONAF and RRCS to ensure we are working alongside Chilean colleagues, and for us to apply for additional grants that will ensure this work continues for many years. We will be excited to share future results and info in the coming years as we finally are able to return to Chile and continue this important science in a part of the world that is so challenging to reach and conduct research. ”